Editor's note: National Golf Day is May 7-10. GCM is covering GCSAA's involvement in the event with stories all week long. To keep up with our complete coverage, click here.
This year marks the 16th National Golf Day, which serves as the pinnacle advocacy event of the American Golf Industries Coalition, and GCSAA and its members have been an active part of the event since it began.
As one of the four original American Golf Industries Collation organizations (founded in 2009 as We Are Golf), GCSAA understands that having a united voice among golf’s leading organizations is stronger than individual ones.
AGIC promotes and advocates for the collective interests of the sport by advocating for legislative and regulatory issues and facilitating the industry's diversity, equity and inclusion efforts.
In each area of emphasis, the coalition unites the golf industry in pursuit of goals designed to enhance the vitality and diversity of the recreational and business entities of the sport. AGIC serves as a banner under which collaborative issues can be
addressed when it’s clear that one collective voice is most effective. GCSAA CEO Rhett Evans serves on the executive leadership committee of AGIC.
“AGIC is a voice for the nearly 2 million people for who have jobs within the golf industry, like GCSAA members, as well as the more than 41 million Americans who participate in the game in some form,” Evans said. “GCSAA is proud to
be a part of AGIC’s efforts to champion the many benefits of golf and to defend the game against misguided regulation.”
National Golf Day takes all the power behind the AGIC and concentrates it on three days of events in Washington, D.C., that showcase the game's $101.7 billion economy, nearly $6 billion annual charitable impact and many environmental and fitness benefits.
NGD attendees meet with House and Senate members or their staff to discuss the key issues impacting golf and to share their personal experiences with lawmakers from their states. These personal interactions help lawmakers see the positive impact golf
has on their constituents.
NGD attendees go into these meetings after being briefed and trained to discuss the issues, and they go into the meetings as teams, so all attendees are prepared and comfortable when speaking with their lawmakers.
National Golf Day week also includes the Community Service Project, which gives attendees the opportunity to give back while demonstrating their professional skills. Past Community Service Projects have involved restoration and beautification projects
No. 1
Entry from Materials Project: LaSmI4 after structural relaxation (PBE).

symmetry	C2/c (15)
M_tot	0.15	μB per atom
ΔE_f	-1486	meV/atom
VASP energy	-3.859	eV/atom
energy with MP2020 corrections	-4.11	eV/atom

Geometry as POSCAR:
```
LaSmI4
1.0
-8.2254 -0.1141 -3.5466
2.9414 -8.3783 1.1831
-4.9575 -4.2231 4.3254
La Sm I
2 2 8
Direct
0.4866 0.5134 0.2500 La
0.5134 0.4866 0.7500 La
0.8688 0.1312 0.7500 Sm
0.1312 0.8688 0.2500 Sm
0.5539 0.1801 0.0977 I
0.7537 0.8737 0.2552 I
0.2463 0.1263 0.7448 I
0.8199 0.4461 0.4023 I
0.1801 0.5539 0.5977 I
0.1263 0.2463 0.2448 I
0.8737 0.7537 0.7552 I
0.4461 0.8199 0.9023 I
```

---

No. 2
Entry from Materials Project: CsHF2 after structural relaxation (PBE).

symmetry	I4/mcm (140)
ΔE_f	-2482	meV/atom
VASP energy	-4.281	eV/atom
energy with MP2020 corrections	-4.51	eV/atom

Geometry as POSCAR:
```
CsHF2
1.0
-3.1196 3.1196 3.9641
3.1196 -3.1196 3.9641
3.1196 3.1196 -3.9641
Cs H F
2 2 4
Direct
0.2500 0.2500 0.0000 Cs
0.7500 0.7500 0.0000 Cs
0.0000 0.5000 0.5000 H
0.5000 0.0000 0.5000 H
0.8692 0.3692 0.2385 F
0.3692 0.1308 0.5000 F
0.1308 0.6308 0.7615 F
0.6308 0.8692 0.5000 F
```

---

No. 3
Entry from Materials Project: La2TaCl3O4 after structural relaxation (PBE).

symmetry	Pmmn (59)
M_tot	0.00	μB per atom
ΔE_f	-3188	meV/atom
VASP energy	-7.620	eV/atom
energy with MP2020 corrections	-7.89	eV/atom

Geometry as POSCAR:
```
La2TaCl3O4
1.0
-0.3897 -2.0520 -3.3792
9.5254 -11.1902 5.6965
-14.4456 -8.7451 6.9765
La Ta Cl O
12 6 18 24
Direct
0.5000 0.6747 0.6145 La
0.5000 0.1501 0.9008 La
0.0000 0.8253 0.3855 La
0.5000 0.8499 0.9008 La
0.5000 0.3253 0.6145 La
0.0000 0.0000 0.1339 La
0.0000 0.1747 0.3855 La
0.5000 0.5000 0.3450 La
0.0000 0.6501 0.0992 La
0.5000 0.5000 0.8661 La
0.0000 0.3499 0.0992 La
0.0000 0.0000 0.6550 La
0.0000 0.5000 0.5168 Ta
0.5000 0.8069 0.2030 Ta
0.5000 0.1931 0.2030 Ta
0.0000 0.6931 0.7970 Ta
0.0000 0.3069 0.7970 Ta
0.5000 0.0000 0.4832 Ta
0.5000 0.6674 0.9734 Cl
0.0000 0.8326 0.0266 Cl
0.0000 0.0000 0.8558 Cl
0.5000 0.3326 0.9734 Cl
0.0000 0.5000 0.9974 Cl
0.5000 0.5000 0.1442 Cl
0.0000 0.1674 0.0266 Cl
0.5000 0.1138 0.7274 Cl
0.0000 0.3862 0.2726 Cl
0.5000 0.8862 0.7274 Cl
0.5000 0.5000 0.7006 Cl
0.0000 0.1876 0.5621 Cl
0.5000 0.6876 0.4379 Cl
0.5000 0.0000 0.0026 Cl
0.0000 0.0000 0.2994 Cl
0.5000 0.3124 0.4379 Cl
0.0000 0.8124 0.5621 Cl
0.0000 0.6138 0.2726 Cl
0.0000 0.4151 0.8397 O
0.5000 0.5000 0.5103 O
0.0000 0.3075 0.6943 O
0.5000 0.0849 0.1603 O
0.0000 0.5849 0.8397 O
0.0000 0.2009 0.1983 O
0.0000 0.7950 0.8589 O
0.5000 0.0000 0.5893 O
0.5000 0.7050 0.1411 O
0.5000 0.7009 0.8017 O
0.0000 0.2050 0.8589 O
0.0000 0.6925 0.6943 O
0.0000 0.6026 0.5699 O
0.5000 0.9151 0.1603 O
0.0000 0.0000 0.4897 O
0.5000 0.1026 0.4301 O
0.0000 0.5000 0.4107 O
0.5000 0.8974 0.4301 O
0.0000 0.3974 0.5699 O
0.5000 0.2991 0.8017 O
0.5000 0.8075 0.3057 O
0.5000 0.1925 0.3057 O
0.0000 0.7991 0.1983 O
0.5000 0.2950 0.1411 O
```

---

No. 4
Entry from Materials Project: Dy2OsPd after structural relaxation (PBE).
(So much for the crystal structures)
along the National Mall, and this year will expand to include work at Langston Golf Course.
National Golf Day is a rewarding experience for all involved that puts a spotlight on why golf is important and how industry members can help secure its future for generations to come.
Angela Hartmann is GCSAA's director of communications.